This brooch features one large pear shaped diamond suspended from a square cut stone. Together they create a rather impressive brooch. It is known as the Cullinan III & IV brooch, as the square diamond on top is the fourth Cullinan stone, and the pear shaped diamond on the bottom, is Cullinan III. III & IV are 63.6 carats and 94.4 carats respectively. Sometimes III & IV are known as the Third and Fourth Stars of Africa, or ‘Granny’s Chips’.
The Cullinan diamond, a whopping 3,106 carats, was named after the chairman of the mining company that found the stone, Thomas Cullinan.
III & IV were two of nine large stones created from the original Cullinan diamond, given to Queen Mary by the South African Government in 1910. Mary left stones III, IV, V, VII, VIII and IX with the Dutch Asscher company, as payment for the cutting of the original Cullinan stone, but the new South African government bought them and gave them back to The Queen.
III and IV seemed to be Mary’s favourite of the Cullinan stones; these two were temporarily set in the crown Mary had made for her coronation in 1911 – the pear-shaped diamond was on the top cross, while the square diamond was placed directly on the base of the crown, sitting proud in the centre.
It is unclear, but Mary put at least one of the diamonds in the Delhi Durbar Tiara made for her for the accession celebration. At least once, Mary used stone III as a pendant on the Ladies of India emerald necklace, and sometimes used it on Victoria’s coronation necklace, instead of the Lahore diamond; you can see the small loop at the top of the brooch.
Mary wore this brooch to her children’s weddings and Princess Elizabeth’s wedding in 1947; she also saw George VI crowned in this piece, wearing it to his coronation in 1937.
All of the smaller Cullinans (except I and II) were kept by Mary until her death in 1953, when her granddaughter Elizabeth II inherited them.
What comes next are molecular data, not part of the piece =
┌──
175
Properties=species:S:1:pos:R:3:forces:R:3:mulliken_charge:R:1 method="wB97M-V/def2-TZVPD" homo_lumo_gap_ev=8.71 lumo_ev=-0.3924 total_energy_ev=-97950.137 de_lowest_ev=8.746 charge=0
C 4.899 0.151 6.588 0.587 -0.284 0.266 0.62
O 4.943 0.928 7.458 -0.393 4.581 4.152 -0.60
N 5.099 0.438 5.350 1.081 0.906 -6.263 -0.32
N 4.697 -1.093 6.866 -1.004 -5.686 1.288 -0.35
H 5.562 -0.229 4.750 -0.388 -0.092 0.085 0.18
H 5.193 1.376 4.986 0.038 0.040 0.791 0.17
H 4.763 -1.897 6.258 -0.149 0.510 -0.153 0.11
H 4.494 -1.307 7.832 0.251 0.132 -0.211 0.20
C -3.105 5.684 0.663 -2.349 4.754 -3.050 0.61
O -3.651 6.763 0.234 1.550 -2.742 1.714 -0.69
N -3.577 4.872 1.572 -1.653 -1.592 2.700 -0.34
N -2.028 5.163 0.106 1.992 -0.411 -1.228 -0.34
H -4.335 5.145 2.180 0.105 -0.184 -0.409 0.19
H -3.328 3.901 1.448 -0.349 0.105 0.584 0.19
H -1.582 5.713 -0.614 0.174 -0.361 0.280 0.21
H -1.577 4.434 0.640 0.557 0.300 -0.587 0.18
C -8.048 2.332 -1.310 -1.461 -1.618 -0.480 0.68
O -8.045 1.505 -2.169 1.087 -2.060 -2.817 -0.66
N -8.001 3.612 -1.523 0.809 3.681 -0.506 -0.38
N -8.322 1.957 -0.090 -0.559 -0.794 4.131 -0.45
H -7.756 3.855 -2.472 -0.437 0.445 0.243 0.22
H -8.549 4.194 -0.906 0.403 0.354 -0.559 0.20
H -8.400 2.608 0.679 0.042 -0.325 -0.117 0.16
H -8.631 1.002 0.030 0.153 0.327 0.065 0.23
C 3.900 7.898 -0.410 -4.044 2.972 -1.958 0.66
O 3.381 8.980 -0.772 1.119 -1.519 -0.373 -0.68
N 3.544 6.706 -0.867 -1.305 -1.549 -2.343 -0.36
N 4.607 7.789 0.633 4.833 0.156 5.661 -0.29
H 2.862 6.778 -1.608 0.217 -0.641 0.067 0.19
H 3.958 5.832 -0.574 -0.228 0.326 -0.333 0.17
H 5.030 8.579 1.100 -0.414 0.107 -0.384 0.20
H 4.910 6.908 1.024 -0.167 0.115 -0.329 0.12
C 7.132 -0.793 -0.922 2.670 -1.458 -0.998 0.63
O 8.260 -1.108 -0.665 3.127 -0.378 1.085 -0.69
N 6.189 -1.131 -0.096 -3.774 -0.207 2.538 -0.30
N 6.874 -0.358 -2.130 -2.326 1.739 -2.890 -0.36
H 6.513 -1.498 0.788 -0.156 0.250 -0.199 0.18
H 5.247 -0.774 -0.156 0.090 -0.094 0.122 0.16
H 7.526 -0.517 -2.885 0.042 0.169 0.569 0.21
H 5.919 -0.150 -2.387 0.177 0.060 -0.249 0.16
C 2.139 -4.049 -2.704 -4.005 1.544 0.329 0.71
O 1.211 -3.210 -2.638 0.917 -1.203 -0.378 -0.65
N 1.968 -5.364 -2.911 -0.496 -1.593 -0.467 -0.38
N 3.376 -3.731 -2.478 4.145 0.812 0.380 -0.35
H 2.770 -5.977 -2.949 -0.411 0.054 -0.013 0.14
H 1.056 -5.767 -3.071 0.232 0.338 0.081 0.20
H 3.698 -2.777 -2.399 -0.439 -0.225 -0.028 0.16
H 4.090 -4.430 -2.627 0.033 0.375 0.118 0.15
C 2.334 1.830 -4.436 2.363 -1.145 2.243 0.68
O 3.277 1.728 -3.681 1.396 0.113 1.029 -0.67
N 1.409 0.933 -4.535 -4.453 -3.446 -0.994 -0.31
N 2.147 2.817 -5.250 -0.243 3.645 -2.432 -0.41
H 0.711 1.084 -5.249 0.025 -0.268 0.196 0.13
H 1.308 0.024 -4.105 0.807 0.417 0.354 0.16
H 2.774 3.603 -5.148 -0.380 -0.032 -0.239 0.24
H 1.243 2.900 -5.693 0.500 0.572 -0.047 0.17
C 1.039 1.616 1.723 -0.308 1.596 2.503 -1.62
C 0.499 0.351 1.201 -0.022 1.791 -1.793 0.63
C -0.744 0.541 0.292 -0.130 -0.041 1.242 -0.78
O -1.893 1.106 0.940 1.455 -0.258 0.642 -0.12
C -2.994 0.855 0.169 -2.154 0.450 -0.946 -1.05
└──
The molecular data stop here =
Whilst in possession of our current Queen, they have seldom been used, as the stones do make a rather large and ostentatious brooch; The Queen is known for her simple tastes and most of her brooches reflect this.
However, The Queen did wear III & IV when visiting Asscher’s on a State Visit to the Netherlands in 1958. Asscher was the mason that cleft the original diamond. Louis Asscher, who had witnessed the cutting of the original diamond in 1908, was there to see Her Majesty. The Queen unusually removed the brooch so Mr. Asscher could have a better look (which was said to have reduced him to tears) and she called the brooch ‘Granny’s Chips’. As Order of Splendour points out, when compared to stones I and II, a brooch from III & IV are just chippings! This is a nickname that has stuck for this brooch, but has also become something of an umbrella term for the other Cullinan stones that are in The Queen’s collection.

The Queen with St Edward’s crown for a new bbc one documentary (BBC/Atlantic Productions/(C) Her Majesty the Queen)
One of the last times we saw of them was at the Diamond Jubilee Thanksgiving Service. Also in 2012, the brooch featured in the ‘Diamonds: A Jubilee Celebration’ summer exhibition at Buckingham Palace, and in Hugh Robert’s book, ‘The Queen’s Diamonds’. In January 2018, however, we saw The Queen in piece (above) for a documentary, ‘The Coronation’, in which she noted that it was the first time ‘Granny’s chips’ had come face to face with another Cullinan counterpart in the Imperial State Crown.
Photos: Royal Collection Trust/© Her Majesty Queen Elizabeth II 2014, Ministry of Defence
1 comment
Absolutely beautiful, loved the show and appreciated the Queen being so kind as to share with us the beauty and regalia of the Crown.